Listing
<<<
La14TbTm: theoretical PXRD pattern (Cu Kα), based on a cell relaxed with PBE.

Most intense lines, 2θ from 10° to 80°, in order of rising 2θ:
- hkl 2 2 2, 29.58 deg, 3.020 Å, I 100
- hkl 4 0 0, 34.11 deg, 2.629 Å, I 17
- hkl 0 4 0, 34.37 deg, 2.609 Å, I 34
- hkl 4 4 0, 49.21 deg, 1.852 Å, I 24
- hkl 6 2 2, 58.29 deg, 1.583 Å, I 15
- hkl 2 6 2, 58.64 deg, 1.574 Å, I 29

Structural model:
```
data_La14TbTm
_chemical_formula_sum 'La28 Tb2 Tm2'
_cell_length_a 10.5144
_cell_length_b 10.4432
_cell_length_c 10.4288
_cell_angle_alpha 90.00
_cell_angle_beta 90.00
_cell_angle_gamma 90.00
_symmetry_space_group_name_H-M 'A m m 2'
_symmetry_Int_Tables_number 38
_symmetry_space_group_name_Hall 'A 2 -2'
loop_
_atom_site_label
_atom_site_type_symbol
_atom_site_fract_x
_atom_site_fract_y
_atom_site_fract_z
La1 La 0.0000 0.0000 0.0000
La2 La 0.0000 0.0000 0.5002
La3 La 0.0000 0.2493 0.2501
La4 La 0.2517 0.0000 0.7510
La5 La 0.2522 0.2492 0.0001
La6 La 0.2529 0.0000 0.2492
La7 La 0.5000 0.2494 0.7501
Tb1 Tb 0.5000 0.0000 0.5001
Tm1 Tm 0.5000 0.0000 0.0000
```
>>>

What to do
It remains to repeat the whole of the material further up without additions.

Solution
La14TbTm: theoretical PXRD pattern (Cu Kα), based on a cell relaxed with PBE.

Most intense lines, 2θ from 10° to 80°, in order of rising 2θ:
- hkl 2 2 2, 29.58 deg, 3.020 Å, I 100
- hkl 4 0 0, 34.11 deg, 2.629 Å, I 17
- hkl 0 4 0, 34.37 deg, 2.609 Å, I 34
- hkl 4 4 0, 49.21 deg, 1.852 Å, I 24
- hkl 6 2 2, 58.29 deg, 1.583 Å, I 15
- hkl 2 6 2, 58.64 deg, 1.574 Å, I 29

Structural model:
```
data_La14TbTm
_chemical_formula_sum 'La28 Tb2 Tm2'
_cell_length_a 10.5144
_cell_length_b 10.4432
_cell_length_c 10.4288
_cell_angle_alpha 90.00
_cell_angle_beta 90.00
_cell_angle_gamma 90.00
_symmetry_space_group_name_H-M 'A m m 2'
_symmetry_Int_Tables_number 38
_symmetry_space_group_name_Hall 'A 2 -2'
loop_
_atom_site_label
_atom_site_type_symbol
_atom_site_fract_x
_atom_site_fract_y
_atom_site_fract_z
La1 La 0.0000 0.0000 0.0000
La2 La 0.0000 0.0000 0.5002
La3 La 0.0000 0.2493 0.2501
La4 La 0.2517 0.0000 0.7510
La5 La 0.2522 0.2492 0.0001
La6 La 0.2529 0.0000 0.2492
La7 La 0.5000 0.2494 0.7501
Tb1 Tb 0.5000 0.0000 0.5001
Tm1 Tm 0.5000 0.0000 0.0000
```